The energy and CO2 emissions impact of renewable energy development in China

Joint Program Reprint • Journal Article
 • China Energy & Climate Project
The energy and CO2 emissions impact of renewable energy development in China
Qi, T., X. Zhang and V.J. Karlpus (2014)
Energy Policy, 68(2014): 60-69

Reprint 2014-9 [Download]

-- Crystal structures from another source follow --
Diffraction record for CoTcO3. The XRD peak list is calculated, not measured: it uses a DFT-relaxed cell (GGA+U, Alexandria) and Cu Kα (weighted mean of Kα1 and Kα2).
Intensities are scaled so that the largest is 100.

```
CoTcO3
1.0
2.612 1.508 4.664
-2.612 1.508 4.664
0.000 -3.016 4.664
Co Tc O
2 2 6
Direct
0.142 0.142 0.142
0.858 0.858 0.858
0.345 0.345 0.345
0.655 0.655 0.655
0.061 0.444 0.737
0.263 0.939 0.556
0.444 0.737 0.061


China has adopted targets for developing renewable electricity that would require expansion on an unprecedented scale. During the period from 2010 to 2020, we find that current renewable electricity targets result in significant additional renewable energy installation and a reduction in cumulative CO2 emissions of 1.8% relative to a No Policy baseline. After 2020, the role of renewables is sensitive to both economic growth and technology cost assumptions. Importantly, we find that the CO2 emissions reductions due to increased renewables are offset in each year by emissions increases in non-covered sectors through 2050. We consider sensitivity to renewable electricity cost after 2020 and find that if cost falls due to policy or other reasons, renewable electricity share increases and results in slightly higher economic growth through 2050. However, regardless of the cost assumption, projected CO2 emissions reductions are very modest under a policy that only targets the supply side in the electricity sector. A policy approach that covers all sectors and allows flexibility to reduce CO2 at lowest cost – such as an emissions trading system – will prevent this emissions leakage and ensure targeted reductions in CO2 emissions are achieved over the long term.


Qi, T., X. Zhang and V.J. Karlpus (2014): The energy and CO2 emissions impact of renewable energy development in China. Energy Policy, 68(2014): 60-69 (
  • Joint Program Reprint
  • Journal Article
China Project
The energy and CO2 emissions impact of renewable energy development in China

== Crystal structures, as found in the file ==
<<<
Structure and computed powder diffraction line list of Cu3Ag7 (a structure optimized by DFT (PBE); Cu Ka).
Peak positions follow from Bragg's law for the DFT cell and can differ from measured ones.

Peak list (6 most intense, 10° ≤ 2θ ≤ 90°, most intense first)
d_spacing, Position (°2θ), intensity
2.322, 38.78, 100
2.013, 45.04, 33
1.214, 78.88, 23
1.423, 65.62, 19
2.008, 45.16, 15
1.211, 79.06, 10

Structural model:
```
10
Lattice="4.0231 0.0000 0.0000 0.0000 2.0142 10.0386 0.0000 -2.0142 10.0386" Properties=species:S:1:pos:R:3 pbc="T T T"
Cu 0.0000 0.0000 0.0000
Cu 0.0000 0.0000 8.1582
Cu 2.0116 0.0000 6.2774
Ag 0.0000 0.0000 4.2289
Ag 0.0000 0.0000 12.0921
Ag 0.0000 0.0000 16.2908
Ag 2.0116 0.0000 2.0450
Ag 2.0116 0.0000 10.0648
Ag 2.0116 0.0000 14.2667
Ag 2.0116 0.0000 18.1965
```



Structure and computed powder diffraction line list of Cu3Ag5 (a structure optimized by DFT (PBE); Cu Ka).
Peak positions follow from Bragg's law for the DFT cell and can differ from measured ones.

Peak list (6 most intense, 10° ≤ 2θ ≤ 90°, most intense first)
d_spacing, Position (°2θ), intensity
2.287, 39.40, 100
2.023, 44.79, 52
2.306, 39.07, 37
2.342, 38.44, 17
1.913, 47.53, 13
1.219, 78.49, 13

Structural model:
```
16
Lattice="9.3842 0.0000 0.0000 0.0000 2.8550 0.0000 -2.1851 0.0000 9.3567" Properties=species:S:1:pos:R:3 pbc="T T T"
Cu 0.0000 0.0000 0.0000
Cu 1.9104 1.4275 0.9526
Cu 0.5966 0.0000 8.4041
Cu 4.6921 1.4275 0.0000
Cu 6.6025 0.0000 0.9526
Cu 5.2887 1.4275 8.4041
Ag -1.0925 0.0000 4.6783
Ag -1.4632 1.4275 7.2513
Ag 1.4435 0.0000 3.3580
Ag 1.0635 1.4275 5.9987
Ag 3.9702 0.0000 2.1054
Ag 3.5996 1.4275 4.6783
Ag 3.2289 0.0000 7.2513
Ag 6.1356 1.4275 3.3580
Ag 5.7556 0.0000 5.9987
Ag 8.6623 1.4275 2.1054
```



Q: Which formula does entry 1 have?
A: Cu3Ag7
>>>

Qi, T., X. Zhang and V.J. Karlpus

68(2014): 60-69

What comes next are records of crystals, not part of the entry:
1.
Starting from DFT lattice parameters and positions (GGA-PBE), the PXRD pattern of Fe4PdPt4 was calculated for Cu Kα, 1.54184 Å.

Most intense lines, 2θ = 10–80°, sorted by position:
| 2θ (°) | I/Imax |
| --- | --- |
| 15.38 | 11 |
| 21.82 | 10 |
| 25.54 | 11 |
| 40.63 | 100 |
| 47.09 | 16 |
| 47.35 | 32 |
| 69.00 | 20 |
| 69.20 | 10 |

Structure:
Unit cell a=6.0745 b=6.0745 c=6.0745 alpha=95.79 beta=95.79 gamma=142.96
Positions (direct):
Fe 0.0000 0.3394 0.3394
Fe 0.0000 0.6606 0.6606
Fe 0.3394 0.0000 0.3394
Fe 0.6606 0.0000 0.6606
Pd 0.0000 0.0000 0.0000
Pt 0.3304 0.3304 0.6609
Pt 0.3304 0.6696 0.0000
Pt 0.6696 0.3304 0.0000
Pt 0.6696 0.6696 0.3391

---

2.
Starting from DFT lattice parameters and positions (GGA-PBE), the PXRD pattern of FePd4Pt6 was calculated for Cu Kα, 1.54184 Å.

Most intense lines, 2θ = 10–80°, sorted by position:
| 2θ (°) | I/Imax |
| --- | --- |
| 26.14 | 30 |
| 35.88 | 48 |
| 38.68 | 82 |
| 39.26 | 41 |
| 41.79 | 100 |
| 42.32 | 67 |
| 43.02 | 46 |
| 53.78 | 31 |

Structure:
Unit cell a=4.3122 b=4.3122 c=20.7326 alpha=90.00 beta=90.00 gamma=114.66
Positions (direct):
Fe 0.2318 0.7682 0.7500
Fe 0.7682 0.2318 0.2500
Pd 0.0576 0.9424 0.1274
Pd 0.0576 0.9424 0.3726
Pd 0.3605 0.6395 0.0473
Pd 0.3605 0.6395 0.4527
Pd 0.6395 0.3605 0.5473
Pd 0.6395 0.3605 0.9527
Pd 0.9424 0.0576 0.6274
Pd 0.9424 0.0576 0.8726
Pt 0.0000 0.0000 0.0000
Pt 0.0000 0.0000 0.5000
Pt 0.1181 0.8819 0.2500
Pt 0.2894 0.7106 0.5905
Pt 0.2894 0.7106 0.9095
Pt 0.4422 0.5578 0.1844
Pt 0.4422 0.5578 0.3156
Pt 0.5578 0.4422 0.6844
Pt 0.5578 0.4422 0.8156
Pt 0.7106 0.2894 0.0905
Pt 0.7106 0.2894 0.4095
Pt 0.8819 0.1181 0.7500

---

3.
Starting from DFT lattice parameters and positions (GGA-PBE), the PXRD pattern of Fe2Pd12Pt5 was calculated for Cu Kα, 1.54184 Å.

Most intense lines, 2θ = 10–80°, sorted by position:
| 2θ (°) | I/Imax |
| --- | --- |
| 33.56 | 31 |
| 37.40 | 100 |
| 37.86 | 26 |
| 40.16 | 32 |
| 43.24 | 52 |
| 43.29 | 68 |
| 43.50 | 40 |
| 79.84 | 27 |

Structure:
Unit cell a=7.6494 b=7.6494 c=6.6115 alpha=104.70 beta=104.70 gamma=56.07
Positions (direct):
Fe 0.1902 0.8098 0.0000
Fe 0.8098 0.1902 0.0000
Pd 0.0327 0.0327 0.7043
Pd 0.0800 0.6353 0.5559
Pd 0.1680 0.5386 0.1415
Pd 0.3647 0.9200 0.4441
Pd 0.4329 0.4329 0.8230
Pd 0.4614 0.8320 0.8585
Pd 0.5386 0.1680 0.1415
Pd 0.5671 0.5671 0.1770
Pd 0.6353 0.0800 0.5559
Pd 0.8320 0.4614 0.8585
Pd 0.9200 0.3647 0.4441
Pd 0.9673 0.9673 0.2957
Pt 0.1679 0.1679 0.1317
Pt 0.2388 0.2388 0.7651
Pt 0.5000 0.5000 0.5000
Pt 0.7612 0.7612 0.2349
Pt 0.8321 0.8321 0.8683

* * * * *

This entry pairs a crystal structure of AsHIrOsAu with its simulated powder X-ray diffraction pattern. Radiation: Cu Kα. Structure: a GGA-PBE-relaxed structure.
Kinematic intensities with the Lorentz-polarization factor, no thermal factor.

Largest 8 diffraction maxima, sorted by position, 10° ≤ 2θ ≤ 90°:
2theta  intensity
17.29  78.6
36.18  90.1
37.89  86.2
38.05  83.8
38.63  73.4
41.28  100.0


China has adopted targets for developing renewable electricity that would require expansion on an unprecedented scale. During the period from 2010 to 2020, we find that current renewable electricity targets result in significant additional renewable energy installation and a reduction in cumulative CO2 emissions of 1.8% relative to a No Policy baseline. After 2020, the role of renewables is sensitive to both economic growth and technology cost assumptions. Importantly, we find that the CO2 emissions reductions due to increased renewables are offset in each year by emissions increases in non-covered sectors through 2050. We consider sensitivity to renewable electricity cost after 2020 and find that if cost falls due to policy or other reasons, renewable electricity share increases and results in slightly higher economic growth through 2050. However, regardless of the cost assumption, projected CO2 emissions reductions are very modest under a policy that only targets the supply side in the electricity sector. A policy approach that covers all sectors and allows flexibility to reduce CO2 at lowest cost – such as an emissions trading system – will prevent this emissions leakage and ensure targeted reductions in CO2 emissions are achieved over the long term.


The Energy and CO2 Emissions Impact of Renewable Energy Development in China